(Excerpt)
********
No. 1
! SrCa2Ge GGA-PBE relaxed; values from VASP
! Formation enthalpy at 0 K (kcal/mol of atoms): -6.53
! N(E_F) (states/eV per cell): 1.8
&SYSTEM
  ibrav = 0, nat = 4, ntyp = 3
/
ATOMIC_SPECIES
Sr 87.62 Sr.upf
Ca 40.08 Ca.upf
Ge 72.64 Ge.upf
CELL_PARAMETERS angstrom
2.477 1.430 7.220
-2.477 1.430 7.220
0.000 -2.860 7.220
ATOMIC_POSITIONS angstrom
Sr 0.000 0.000 0.000
Ca 0.000 0.000 4.743
Ca 0.000 0.000 9.861
Ge 0.000 0.000 18.196

No. 2
! SrCaZnGe GGA-PBE relaxed; values from VASP
! Formation enthalpy at 0 K (kcal/mol of atoms): -9.85
! N(E_F) (states/eV per cell): 1.3
&SYSTEM
  ibrav = 0, nat = 4, ntyp = 4
/
ATOMIC_SPECIES
Sr 87.62 Sr.upf
Ca 40.08 Ca.upf
Zn 65.41 Zn.upf
Ge 72.64 Ge.upf
CELL_PARAMETERS angstrom
0.000 3.766 3.766
3.766 0.000 3.766
3.766 3.766 0.000
ATOMIC_POSITIONS angstrom
Sr 0.000 0.000 0.000
Ca 3.766 3.766 3.766
Zn 1.883 1.883 1.883
Ge 5.649 5.649 5.649


A geometry-optimized HfInCo3 structure, computed with GGA-PBE.

Lattice parameters (Å, degrees): 4.556 4.556 4.556 90.00 90.00 90.00
Space group Pm-3m (No. 221)
One atom of each set of equivalent atoms:
1 Hf 0.000 0.000 0.000
2 In 0.500 0.500 0.500
3 Co 0.000 0.500 0.500

Total moment ... 2.89 μB/f.u.
Energy relative to the elements ... 1228 meV/atom
Excess energy over the best structure of this formula in the dataset ... 0.099 eV/atom
VASP energy ... -5.57 eV per atom
DOS(E_F) ... 4.9 states/eV/cell

A geometry-optimized Lu2CoBi structure, computed with GGA-PBE.

Lattice parameters (Å, degrees): 3.317 3.317 8.409 90.00 90.00 90.00
Space group P4/mmm (No. 123)
One atom of each set of equivalent atoms:
1 Lu 0.000 0.000 0.190
2 Co 0.500 0.500 0.000
3 Bi 0.500 0.500 0.500

Total moment ... 0.55 μB/f.u.
Energy relative to the elements ... -359 meV/atom
Excess energy over the best structure of this formula in the dataset ... 0.000 eV/atom
VASP energy ... -5.37 eV per atom
DOS(E_F) ... 2.6 states/eV/cell

A geometry-optimized CaPa5As6 structure, computed with GGA-PBE.

Lattice parameters (Å, degrees): 7.113 12.328 7.114 90.00 109.50 90.00
Space group C2/m (No. 12)
One atom of each set of equivalent atoms:
1 Ca 0.000 0.000 0.000
2 Pa 0.000 0.164 0.500
3 Pa 0.000 0.333 0.000
4 Pa 0.000 0.500 0.500
5 As 0.247 0.500 0.249
6 As 0.248 0.332 0.748

Total moment ... 0.00 μB/f.u.
Energy relative to the elements ... -1076 meV/atom
VASP energy ... -7.52 eV per atom
DOS(E_F) ... 32.8 states/eV/cell

A geometry-optimized RbNbIN2 structure, computed with GGA-PBE.

Lattice parameters (Å, degrees): 4.317 4.317 5.838 90.00 90.00 90.00
Space group P4/mmm (No. 123)
One atom of each set of equivalent atoms:
1 Rb 0.000 0.000 0.000
2 Nb 0.500 0.500 0.500
3 I 0.500 0.500 0.000
4 N 0.000 0.500 0.500

Total moment ... 0.95 μB/f.u.
Uncorrected formation energy ... 74.5 kJ/mol of formula units
Excess energy over the best structure of this formula in the dataset ... 0.000 eV/atom
VASP energy ... -5.69 eV per atom
DOS(E_F) ... 1.5 states/eV/cell

A geometry-optimized BiTe2Cl structure, computed with GGA-PBE.

Lattice parameters (Å, degrees): 3.4099 3.4099 33.7231 90.00 90.00 120.00
Space group R-3m (No. 166, hexagonal axes)
One atom of each set of equivalent atoms:
1 Bi 0.0000 0.0000 0.0000
2 Te 0.0000 0.0000 0.0935
3 Cl 0.0000 0.0000 0.5000

Total moment ... 0.00 μB/f.u.
Uncorrected formation energy ... 43.7 kJ/mol of formula units
Excess energy over the best structure of this formula in the dataset ... 0.403 eV/atom
VASP energy ... -2.89 eV per atom
DOS(E_F) ... 9.2 states/eV/cell

A geometry-optimized Pu2H2IBr structure, computed with GGA-PBE.

Lattice parameters (Å, degrees): 3.9132 3.9132 9.3439 90.00 90.00 120.00
Space group P-3m1 (No. 164)
One atom of each set of equivalent atoms:
1 Pu 0.3333 0.6667 0.2381
2 H 0.3333 0.6667 0.7593
3 I 0.0000 0.0000 0.5000
4 Br 0.0000 0.0000 0.0000

Total moment ... 12.00 μB/f.u.
VASP energy ... -7.15 eV per atom
DOS(E_F) ... 21.2 states/eV/cell


No. 1
The following is a DFT calculation (PBE) of a relaxed structure of Ca2Ag2Sb.

Structure (CIF):
********
(Job)
Next, give back all of the lines above without altering anything.
(Written answer)
No. 1
! SrCa2Ge GGA-PBE relaxed; values from VASP
! Formation enthalpy at 0 K (kcal/mol of atoms): -6.53
! N(E_F) (states/eV per cell): 1.8
&SYSTEM
  ibrav = 0, nat = 4, ntyp = 3
/
ATOMIC_SPECIES
Sr 87.62 Sr.upf
Ca 40.08 Ca.upf
Ge 72.64 Ge.upf
CELL_PARAMETERS angstrom
2.477 1.430 7.220
-2.477 1.430 7.220
0.000 -2.860 7.220
ATOMIC_POSITIONS angstrom
Sr 0.000 0.000 0.000
Ca 0.000 0.000 4.743
Ca 0.000 0.000 9.861
Ge 0.000 0.000 18.196

No. 2
! SrCaZnGe GGA-PBE relaxed; values from VASP
! Formation enthalpy at 0 K (kcal/mol of atoms): -9.85
! N(E_F) (states/eV per cell): 1.3
&SYSTEM
  ibrav = 0, nat = 4, ntyp = 4
/
ATOMIC_SPECIES
Sr 87.62 Sr.upf
Ca 40.08 Ca.upf
Zn 65.41 Zn.upf
Ge 72.64 Ge.upf
CELL_PARAMETERS angstrom
0.000 3.766 3.766
3.766 0.000 3.766
3.766 3.766 0.000
ATOMIC_POSITIONS angstrom
Sr 0.000 0.000 0.000
Ca 3.766 3.766 3.766
Zn 1.883 1.883 1.883
Ge 5.649 5.649 5.649


A geometry-optimized HfInCo3 structure, computed with GGA-PBE.

Lattice parameters (Å, degrees): 4.556 4.556 4.556 90.00 90.00 90.00
Space group Pm-3m (No. 221)
One atom of each set of equivalent atoms:
1 Hf 0.000 0.000 0.000
2 In 0.500 0.500 0.500
3 Co 0.000 0.500 0.500

Total moment ... 2.89 μB/f.u.
Energy relative to the elements ... 1228 meV/atom
Excess energy over the best structure of this formula in the dataset ... 0.099 eV/atom
VASP energy ... -5.57 eV per atom
DOS(E_F) ... 4.9 states/eV/cell

A geometry-optimized Lu2CoBi structure, computed with GGA-PBE.

Lattice parameters (Å, degrees): 3.317 3.317 8.409 90.00 90.00 90.00
Space group P4/mmm (No. 123)
One atom of each set of equivalent atoms:
1 Lu 0.000 0.000 0.190
2 Co 0.500 0.500 0.000
3 Bi 0.500 0.500 0.500

Total moment ... 0.55 μB/f.u.
Energy relative to the elements ... -359 meV/atom
Excess energy over the best structure of this formula in the dataset ... 0.000 eV/atom
VASP energy ... -5.37 eV per atom
DOS(E_F) ... 2.6 states/eV/cell

A geometry-optimized CaPa5As6 structure, computed with GGA-PBE.

Lattice parameters (Å, degrees): 7.113 12.328 7.114 90.00 109.50 90.00
Space group C2/m (No. 12)
One atom of each set of equivalent atoms:
1 Ca 0.000 0.000 0.000
2 Pa 0.000 0.164 0.500
3 Pa 0.000 0.333 0.000
4 Pa 0.000 0.500 0.500
5 As 0.247 0.500 0.249
6 As 0.248 0.332 0.748

Total moment ... 0.00 μB/f.u.
Energy relative to the elements ... -1076 meV/atom
VASP energy ... -7.52 eV per atom
DOS(E_F) ... 32.8 states/eV/cell

A geometry-optimized RbNbIN2 structure, computed with GGA-PBE.

Lattice parameters (Å, degrees): 4.317 4.317 5.838 90.00 90.00 90.00
Space group P4/mmm (No. 123)
One atom of each set of equivalent atoms:
1 Rb 0.000 0.000 0.000
2 Nb 0.500 0.500 0.500
3 I 0.500 0.500 0.000
4 N 0.000 0.500 0.500

Total moment ... 0.95 μB/f.u.
Uncorrected formation energy ... 74.5 kJ/mol of formula units
Excess energy over the best structure of this formula in the dataset ... 0.000 eV/atom
VASP energy ... -5.69 eV per atom
DOS(E_F) ... 1.5 states/eV/cell

A geometry-optimized BiTe2Cl structure, computed with GGA-PBE.

Lattice parameters (Å, degrees): 3.4099 3.4099 33.7231 90.00 90.00 120.00
Space group R-3m (No. 166, hexagonal axes)
One atom of each set of equivalent atoms:
1 Bi 0.0000 0.0000 0.0000
2 Te 0.0000 0.0000 0.0935
3 Cl 0.0000 0.0000 0.5000

Total moment ... 0.00 μB/f.u.
Uncorrected formation energy ... 43.7 kJ/mol of formula units
Excess energy over the best structure of this formula in the dataset ... 0.403 eV/atom
VASP energy ... -2.89 eV per atom
DOS(E_F) ... 9.2 states/eV/cell

A geometry-optimized Pu2H2IBr structure, computed with GGA-PBE.

Lattice parameters (Å, degrees): 3.9132 3.9132 9.3439 90.00 90.00 120.00
Space group P-3m1 (No. 164)
One atom of each set of equivalent atoms:
1 Pu 0.3333 0.6667 0.2381
2 H 0.3333 0.6667 0.7593
3 I 0.0000 0.0000 0.5000
4 Br 0.0000 0.0000 0.0000

Total moment ... 12.00 μB/f.u.
VASP energy ... -7.15 eV per atom
DOS(E_F) ... 21.2 states/eV/cell


No. 1
The following is a DFT calculation (PBE) of a relaxed structure of Ca2Ag2Sb.

Structure (CIF):